**What to do:**
It remains to quote the whole of the contents further down exactly.

**Listing:**
........
Y2Ni2F | GGA+U | relaxed

Geometry as CIF:
```
data_Y2Ni2F
_chemical_formula_sum 'Y4 Ni4 F2'
_space_group_name_H-M_alt 'P 4/m b m'
_space_group_IT_number 127
_space_group_name_Hall '-P 4 2ab'
_cell_length_a 7.382
_cell_length_b 7.382
_cell_length_c 3.392
_cell_angle_alpha 90.00
_cell_angle_beta 90.00
_cell_angle_gamma 90.00
loop_
_atom_site_label
_atom_site_fract_x
_atom_site_fract_y
_atom_site_fract_z
Y1 0.181 0.319 0.000
Ni1 0.113 0.613 0.500
F1 0.000 0.000 0.500
```

Summary:
........

**Reply:**
Y2Ni2F | GGA+U | relaxed

Geometry as CIF:
```
data_Y2Ni2F
_chemical_formula_sum 'Y4 Ni4 F2'
_space_group_name_H-M_alt 'P 4/m b m'
_space_group_IT_number 127
_space_group_name_Hall '-P 4 2ab'
_cell_length_a 7.382
_cell_length_b 7.382
_cell_length_c 3.392
_cell_angle_alpha 90.00
_cell_angle_beta 90.00
_cell_angle_gamma 90.00
loop_
_atom_site_label
_atom_site_fract_x
_atom_site_fract_y
_atom_site_fract_z
Y1 0.181 0.319 0.000
Ni1 0.113 0.613 0.500
F1 0.000 0.000 0.500
```

Summary: